Wednesday, April 29, 2009

Attached: data records.
********
Computed, not measured: a crystal of ZrSi4 relaxed with PBEsol at the SCAN level of DFT.

- Magnetic moment: 0.0 μB per formula unit
- Formation energy (no corrections): 0.402 eV per atom
- Uncorrected energy: -137.5 eV for the cell shown

a = 5.8800 Å, b = 5.8800 Å, c = 5.8800 Å
α = 90.00°, β = 90.00°, γ = 90.00°
Space group Im-3m (No. 229)
One atom of each set of equivalent atoms:
Zr 0.0000 0.0000 0.0000 (multiplicity 2)
Si 0.2500 0.2500 0.2500 (multiplicity 8)

~~~~~

# PuInRuRh

An optimized crystal structure of PuInRuRh (PBE-GGA, the Alexandria database).

Results
Crystal system: cubic
Fermi-level density of states, states/eV/cell: 4.68
ΔH_f (0 K), meV/atom: -333
Symmetry: No. 216
M_tot, Bohr magnetons per cell: 4.21
********


When God know you are capable of more and is just convincing you of it.

The sign of a heart two sizes too small.

The more I explore the concept of who I am the more I realize how deeply entrenched the lies I tell myself run. Who am I? Oddly enough I am an emotional broken man. But you could never tell by looking at me. How do I expect others to see thru to me and then on thru me, to what I can no longer find. I physically injure myself and I bite my tongue, someone offends me greatly and I bite my tongue, someone pleases me and does something completely amazing and I smirk. Is this who I am. I am not proud of this. This is who I am.

I am not Proud.

Hold on, while I go outside and scream.

No, no I did no such thing. Here I sat staring at my reflection in a monitor gone black. Strangely fitting, me alone surrounded by black, lost in a sea of calm and yet there just below the surface, almost visible, lies life. So this is how you see me, just a moment ago as rage flowed thru me, where was its mark? Can we spot the signs of its passage? There. A slightly furrowed brow, a small compression of the lips. The look when you don’t recall where you left your phone. Yet somehow here I sit, the way I am is the way I should be. Or at least this is what I tell myself so that I never come to the realization of how wrong I am.

My mind spews vitriol and my face lies. Where does all this emotion go? So much of it, unspoken, unvoiced, unacted, unexpressed. We who bottle it all up don’t explode in bouts of emotion, no. No. We slowly and surely implode, sucking it all into ourselves, hating every muted emotion. And the face breaks into a half formed sneer.

Wednesday, April 8, 2009

If nature is beautiful, why aren't we?

Often we hear the idea get back to nature, perhaps we were never there. Humans operate above nature. We were designed to not fit with nature.

“When it is a matter of nature, we rarely find ourselves on familiar ground. At every step, there is something that humiliates and mortifies proud minds. A snails shell is one of the marvels of the universe.

The shells of ancient ammonites are constructed around an almost logarithmic axis, and even today Kitawans of the South Pacific view the Spiral of the Nautilus Pompilius as the ultimate symbol of perfection” (taken piecemeal from ‘House of Leaves’ by Mark Z. Danielewski)

There is an effect of repeating nature and how much beauty it can create, perfect in its consistency, and we humans fail to fit in this scheme. This is perhaps one of the greatest strengths of man, that we can be ugly. We can choose it and accept it. Imperfections draw us, define us, and create us. This feature of human kind, this flaw, it defines us, creates us, without this we would operate at the level of animals

Hitler had it wrong. How can we seek to eradicate wholesale weakness and imperfection, this is too seek to destroy ourselves, our humanity. Our drives come from out weaknesses. Our weakness causes us to fight against ourselves to seek improvement, to strengthen our weaknesses and to hide our imperfections. And thus we have created ourselves anew. Everything about me is temporary wait a few moments and I will be gone. Good, evil, sinner, saint, knowledge, innocence. With every passing moment I am yet again a stranger, yet still so familiar. Life is Pain, Time is Death, Self is Delusion.

It is our flaws that make us human, it is our illogic that makes us greater then the animals, it is our humanity that allows us to become Gods.

But still we wish to stop time, to mitigate it’s effects and to continue in a state of comfort familiarity and constance. Permanence is a strange idea that fails to work, it tries to defy time but time destroys, consumes, distorts, withers, changes, nurtures, and creates. This state of change is what gives hope, allows me to live with myself when I am not who I wish to be, and keeps me from swearing off the whole human race as a lost cause.

Fallen Angels - Ra

Fallen, broken. Simply dissolved into an incomplete thought. An empty shell, cracked, and disfigured. With no remorse, I have been blinded by the darkness. With no disdain, I have received my punishment. And with no haste, I await them.